What to do:
Copy the block further down word for word.
Given:
Entry 1:
The following is a DFT calculation (the ωB97M-V functional and the def2-TZVPD basis) of a molecular structure, C44H37NO6PS7W in a non-equilibrium geometry.

CARTESIAN COORDINATES (ANGSTROEM)
W -0.434 -0.173 -0.243
O -2.188 0.498 -0.588
S -2.081 1.748 1.827
O -2.167 2.768 0.782
O -0.890 0.823 1.535
C -3.516 0.610 1.524
C -4.710 1.323 1.568
C -5.935 0.689 1.578
C -5.979 -0.698 1.657
C -4.796 -1.416 1.606
C -3.564 -0.780 1.511
S -2.294 -1.952 0.986
O -2.350 -1.939 -0.477
O -2.636 -3.208 1.593
O -0.910 -1.530 1.344
H -4.631 2.400 1.557
H -6.843 1.273 1.537
H -6.925 -1.216 1.722
H -4.789 -2.494 1.630
C 3.767 1.636 3.484
C 3.137 0.290 3.715
C 3.479 -0.380 4.887
C 2.930 -1.602 5.228
C 2.018 -2.201 4.372
C 1.680 -1.564 3.193
C 2.211 -0.318 2.853
P 1.594 0.348 1.241
C 1.446 2.168 1.637
C 1.893 3.042 0.646
C 1.584 4.390 0.678
C 0.749 4.873 1.672
C 0.334 4.026 2.682
C 0.693 2.685 2.710
C 0.297 1.870 3.907
C 3.012 0.222 0.120
C 4.351 0.114 0.505
C 5.340 -0.034 -0.447
C 5.002 -0.143 -1.785
C 3.671 -0.082 -2.172
C 2.661 0.121 -1.243
C 1.235 0.318 -1.674
H 4.821 1.612 3.766
H 3.278 2.386 4.107
H 3.680 1.948 2.450
H 4.193 0.083 5.555
H 3.204 -2.080 6.158
H 1.570 -3.149 4.632
H 0.963 -2.022 2.521
H 2.510 2.643 -0.152
H 1.948 5.048 -0.098
H 0.431 5.904 1.664
H -0.297 4.405 3.472
H -0.598 2.291 4.360
H 1.096 1.883 4.650
H 0.102 0.833 3.644
H 4.620 0.120 1.547
H 6.378 -0.067 -0.146
H 5.771 -0.277 -2.530
H 3.414 -0.184 -3.217
H 1.128 -0.256 -2.613
H 1.189 1.368 -2.013
N -1.275 1.264 -1.274
C -1.720 2.208 -2.104
C -0.759 2.869 -2.989
C 0.425 3.465 -2.546
C 1.270 4.096 -3.441
C 0.959 4.142 -4.792
C -0.219 3.558 -5.241
C -1.074 2.942 -4.352
C -3.092 2.670 -2.186
C -3.296 4.029 -2.484
C -4.554 4.584 -2.472
C -5.662 3.791 -2.203
C -5.481 2.440 -1.947
C -4.220 1.880 -1.928
H 0.619 3.478 -1.483
H 2.173 4.567 -3.078
H 1.616 4.642 -5.490
H -0.471 3.592 -6.291
H -2.004 2.511 -4.694
H -2.434 4.650 -2.674
H -4.676 5.645 -2.653
H -6.652 4.225 -2.182
H -6.341 1.815 -1.753
H -4.104 0.829 -1.713
C -0.680 -0.852 -4.692
S -1.529 -1.040 -3.060
C -1.367 -2.780 -2.877
C -0.581 -3.349 -1.934
S 0.527 -2.520 -0.885
S -0.680 -5.092 -1.817
C -1.909 -5.330 -3.061
S -2.494 -6.805 -3.483
S -2.446 -3.826 -3.788
H -0.673 0.210 -4.913
H -1.264 -1.389 -5.432
H 0.328 -1.249 -4.646

## Properties
- HOMO level (alpha / beta) (eV) = -3.550 / -4.618
- M (Da) = 1115.06
- Kohn-Sham gap (alpha / beta) (eV) = 5.8 / 6.3
- energy relative to the best compared isomer or geometry (same formula, charge and spin) (kJ/mol) = 491.8
- spin multiplicity = 3
- charge = -1



Entry 2:
The following is a DFT calculation (the ωB97M-V functional and the def2-TZVPD basis) of a molecular structure, C44H38BrCrF4N4OP2S.

CARTESIAN COORDINATES (ANGSTROEM)
Cr -0.491 -1.039 -0.391
F 6.979 2.144 -0.315
C 5.838 1.541 -0.034
C 5.491 1.276 1.275
F 6.305 1.625 2.259
C 4.296 0.634 1.550
F 4.057 0.368 2.836
C 3.388 0.269 0.560
P 1.837 -0.620 1.050
C 1.320 0.264 2.566
C 1.590 1.625 2.707
C 1.201 2.311 3.846
C 0.547 1.644 4.872
C 0.265 0.293 4.739
C 0.638 -0.391 3.591
C 2.647 -2.187 1.562
C 2.799 -2.632 2.870
C 3.486 -3.813 3.131
C 4.038 -4.552 2.095
C 3.922 -4.095 0.786
C 3.231 -2.921 0.527
C 3.795 0.506 -0.758
Br 2.826 -0.096 -2.256
C 4.989 1.139 -1.050
F 5.369 1.365 -2.304
H 2.137 2.164 1.945
H 1.426 3.366 3.938
H 0.264 2.174 5.772
H -0.249 -0.236 5.531
H 0.405 -1.444 3.513
H 2.408 -2.058 3.699
H 3.600 -4.146 4.154
H 4.582 -5.463 2.306
H 4.389 -4.639 -0.025
H 3.195 -2.545 -0.493
C -2.536 3.517 3.754
C -1.890 4.184 2.724
C -1.466 3.488 1.598
C -1.691 2.118 1.512
C -2.319 1.445 2.560
C -2.747 2.145 3.675
P -1.431 1.201 -0.026
C -0.622 2.343 -1.183
C 0.733 2.614 -1.001
C 1.399 3.489 -1.843
C 0.718 4.091 -2.893
C -0.629 3.818 -3.092
C -1.299 2.950 -2.239
C -3.115 0.930 -0.621
C -4.065 1.917 -0.658
C -5.376 1.621 -1.082
C -5.707 0.343 -1.434
C -4.757 -0.707 -1.373
C -5.099 -2.040 -1.710
C -4.166 -3.026 -1.613
C -2.851 -2.725 -1.176
C -2.452 -1.449 -0.856
C -3.436 -0.413 -0.953
H -2.876 4.066 4.623
Done:
Entry 1:
The following is a DFT calculation (the ωB97M-V functional and the def2-TZVPD basis) of a molecular structure, C44H37NO6PS7W in a non-equilibrium geometry.

CARTESIAN COORDINATES (ANGSTROEM)
W -0.434 -0.173 -0.243
O -2.188 0.498 -0.588
S -2.081 1.748 1.827
O -2.167 2.768 0.782
O -0.890 0.823 1.535
C -3.516 0.610 1.524
C -4.710 1.323 1.568
C -5.935 0.689 1.578
C -5.979 -0.698 1.657
C -4.796 -1.416 1.606
C -3.564 -0.780 1.511
S -2.294 -1.952 0.986
O -2.350 -1.939 -0.477
O -2.636 -3.208 1.593
O -0.910 -1.530 1.344
H -4.631 2.400 1.557
H -6.843 1.273 1.537
H -6.925 -1.216 1.722
H -4.789 -2.494 1.630
C 3.767 1.636 3.484
C 3.137 0.290 3.715
C 3.479 -0.380 4.887
C 2.930 -1.602 5.228
C 2.018 -2.201 4.372
C 1.680 -1.564 3.193
C 2.211 -0.318 2.853
P 1.594 0.348 1.241
C 1.446 2.168 1.637
C 1.893 3.042 0.646
C 1.584 4.390 0.678
C 0.749 4.873 1.672
C 0.334 4.026 2.682
C 0.693 2.685 2.710
C 0.297 1.870 3.907
C 3.012 0.222 0.120
C 4.351 0.114 0.505
C 5.340 -0.034 -0.447
C 5.002 -0.143 -1.785
C 3.671 -0.082 -2.172
C 2.661 0.121 -1.243
C 1.235 0.318 -1.674
H 4.821 1.612 3.766
H 3.278 2.386 4.107
H 3.680 1.948 2.450
H 4.193 0.083 5.555
H 3.204 -2.080 6.158
H 1.570 -3.149 4.632
H 0.963 -2.022 2.521
H 2.510 2.643 -0.152
H 1.948 5.048 -0.098
H 0.431 5.904 1.664
H -0.297 4.405 3.472
H -0.598 2.291 4.360
H 1.096 1.883 4.650
H 0.102 0.833 3.644
H 4.620 0.120 1.547
H 6.378 -0.067 -0.146
H 5.771 -0.277 -2.530
H 3.414 -0.184 -3.217
H 1.128 -0.256 -2.613
H 1.189 1.368 -2.013
N -1.275 1.264 -1.274
C -1.720 2.208 -2.104
C -0.759 2.869 -2.989
C 0.425 3.465 -2.546
C 1.270 4.096 -3.441
C 0.959 4.142 -4.792
C -0.219 3.558 -5.241
C -1.074 2.942 -4.352
C -3.092 2.670 -2.186
C -3.296 4.029 -2.484
C -4.554 4.584 -2.472
C -5.662 3.791 -2.203
C -5.481 2.440 -1.947
C -4.220 1.880 -1.928
H 0.619 3.478 -1.483
H 2.173 4.567 -3.078
H 1.616 4.642 -5.490
H -0.471 3.592 -6.291
H -2.004 2.511 -4.694
H -2.434 4.650 -2.674
H -4.676 5.645 -2.653
H -6.652 4.225 -2.182
H -6.341 1.815 -1.753
H -4.104 0.829 -1.713
C -0.680 -0.852 -4.692
S -1.529 -1.040 -3.060
C -1.367 -2.780 -2.877
C -0.581 -3.349 -1.934
S 0.527 -2.520 -0.885
S -0.680 -5.092 -1.817
C -1.909 -5.330 -3.061
S -2.494 -6.805 -3.483
S -2.446 -3.826 -3.788
H -0.673 0.210 -4.913
H -1.264 -1.389 -5.432
H 0.328 -1.249 -4.646

## Properties
- HOMO level (alpha / beta) (eV) = -3.550 / -4.618
- M (Da) = 1115.06
- Kohn-Sham gap (alpha / beta) (eV) = 5.8 / 6.3
- energy relative to the best compared isomer or geometry (same formula, charge and spin) (kJ/mol) = 491.8
- spin multiplicity = 3
- charge = -1



Entry 2:
The following is a DFT calculation (the ωB97M-V functional and the def2-TZVPD basis) of a molecular structure, C44H38BrCrF4N4OP2S.

CARTESIAN COORDINATES (ANGSTROEM)
Cr -0.491 -1.039 -0.391
F 6.979 2.144 -0.315
C 5.838 1.541 -0.034
C 5.491 1.276 1.275
F 6.305 1.625 2.259
C 4.296 0.634 1.550
F 4.057 0.368 2.836
C 3.388 0.269 0.560
P 1.837 -0.620 1.050
C 1.320 0.264 2.566
C 1.590 1.625 2.707
C 1.201 2.311 3.846
C 0.547 1.644 4.872
C 0.265 0.293 4.739
C 0.638 -0.391 3.591
C 2.647 -2.187 1.562
C 2.799 -2.632 2.870
C 3.486 -3.813 3.131
C 4.038 -4.552 2.095
C 3.922 -4.095 0.786
C 3.231 -2.921 0.527
C 3.795 0.506 -0.758
Br 2.826 -0.096 -2.256
C 4.989 1.139 -1.050
F 5.369 1.365 -2.304
H 2.137 2.164 1.945
H 1.426 3.366 3.938
H 0.264 2.174 5.772
H -0.249 -0.236 5.531
H 0.405 -1.444 3.513
H 2.408 -2.058 3.699
H 3.600 -4.146 4.154
H 4.582 -5.463 2.306
H 4.389 -4.639 -0.025
H 3.195 -2.545 -0.493
C -2.536 3.517 3.754
C -1.890 4.184 2.724
C -1.466 3.488 1.598
C -1.691 2.118 1.512
C -2.319 1.445 2.560
C -2.747 2.145 3.675
P -1.431 1.201 -0.026
C -0.622 2.343 -1.183
C 0.733 2.614 -1.001
C 1.399 3.489 -1.843
C 0.718 4.091 -2.893
C -0.629 3.818 -3.092
C -1.299 2.950 -2.239
C -3.115 0.930 -0.621
C -4.065 1.917 -0.658
C -5.376 1.621 -1.082
C -5.707 0.343 -1.434
C -4.757 -0.707 -1.373
C -5.099 -2.040 -1.710
C -4.166 -3.026 -1.613
C -2.851 -2.725 -1.176
C -2.452 -1.449 -0.856
C -3.436 -0.413 -0.953
H -2.876 4.066 4.623